**What to do:**
Please type out the lines further below up to the one that holds "-2.082 4.396", that line included.
**Excerpt:**
/*
No. 1
The following is a DFT calculation (the ωB97M-V functional and the def2-TZVPD basis) of a cluster of 9 separate species, C24H54O15S6 in total in a non-equilibrium geometry.

Computed properties:
E (Eh): -4464.230055
LUMO energy (eV): -0.17

Each line ends with the Löwdin charge.
Positions of all 99 atoms, in Å:
C: -2.094 -0.970 3.692  0.0179
C: -3.417 -1.100 2.729  -0.2285
C: -4.658 -0.279 3.155  -0.1140
O: -4.501 0.924 2.446  0.0617
C: -3.707 0.708 1.345  -0.5166
O: -3.393 1.492 0.452  0.0819
O: -3.292 -0.529 1.429  0.0715
H: -1.151 -1.446 3.426  0.0658
H: -2.385 -1.080 4.737  0.0733
H: -1.933 0.101 3.810  0.0671
H: -3.834 -2.106 2.687  0.1390
H: -4.461 -0.116 4.215  0.1245
H: -5.666 -0.684 3.063  0.1399
C: 2.766 3.917 -3.645  -0.0062
C: 2.073 4.145 -2.243  -0.2857
C: 2.531 3.385 -0.967  -0.1323
O: 2.760 4.492 -0.147  0.0220
C: 2.486 5.717 -0.749  -0.4687
O: 2.528 6.811 -0.174  0.1146
O: 2.204 5.530 -2.056  0.0745
H: 2.250 4.175 -4.570  0.0781
H: 3.022 2.864 -3.770  0.0640
H: 3.779 4.308 -3.734  0.0782
H: 0.987 4.056 -2.294  0.1392
H: 3.329 2.675 -1.182  0.1353
H: 1.665 2.895 -0.521  0.0677
C: -2.112 -5.252 2.879  0.0037
C: -1.231 -4.944 1.648  -0.3330
C: -0.878 -6.034 0.663  -0.0841
O: -1.115 -5.341 -0.549  0.0517
C: -1.640 -4.083 -0.392  -0.5095
O: -2.005 -3.377 -1.337  0.1202
O: -1.498 -3.792 0.882  0.0966
H: -2.026 -4.467 3.631  0.0778
H: -2.078 -6.230 3.359  0.0907
H: -3.089 -5.212 2.397  0.0846
H: -0.294 -4.682 2.140  0.1261
H: -1.501 -6.928 0.680  0.1404
H: 0.169 -6.236 0.890  0.1186
C: 1.393 -4.428 -5.953  -0.2412
S: 3.223 -4.737 -5.792  0.8290
O: 3.990 -3.839 -6.772  -0.5746
C: 3.443 -3.804 -4.221  -0.2718
H: 1.064 -4.815 -6.918  0.0478
H: 1.411 -3.338 -5.948  0.0392
H: 0.753 -4.812 -5.159  0.0520
H: 4.412 -3.691 -3.735  0.0560
H: 2.660 -4.029 -3.497  0.0307
H: 3.084 -2.814 -4.504  0.0314
C: 1.747 1.397 4.216  -0.2056
S: 2.617 1.293 2.552  0.8788
O: 1.592 1.787 1.458  -0.5842
C: 3.996 2.482 2.651  -0.2445
H: 2.303 0.885 5.001  0.0527
H: 0.846 0.801 4.073  0.0267
H: 1.424 2.413 4.444  0.0524
H: 4.846 2.265 3.298  0.0544
H: 3.622 3.390 3.124  0.0559
H: 4.462 2.662 1.682  0.0542
C: -3.101 4.106 -1.882  -0.2518
S: -3.620 2.428 -2.395  0.8568
O: -4.819 2.768 -3.278  -0.5970
C: -2.319 1.974 -3.626  -0.2370
H: -3.679 4.868 -2.405  0.0541
H: -2.082 4.396 -2.137  0.0444
H: -3.306 4.313 -0.831  -0.0089
H: -1.996 2.799 -4.262  0.0588
H: -2.879 1.269 -4.241  0.0401
H: -1.555 1.392 -3.112  -0.0008
C: 0.279 -1.333 -2.393  -0.2374
S: 0.899 0.104 -1.379  0.8591
O: 0.607 1.251 -2.285  -0.5512
C: -0.557 -0.001 -0.134  -0.2068
H: 1.050 -1.555 -3.132  0.0258
H: -0.548 -1.159 -3.081  0.0628
H: -0.003 -2.224 -1.831  0.0203
H: -1.456 0.278 -0.683  0.0395
H: -0.558 0.735 0.670  0.0198
H: -0.813 -0.958 0.321  0.0331
C: -0.433 3.765 1.687  -0.2276
S: -1.970 4.780 1.444  0.8145
O: -1.588 6.189 1.089  -0.5448
C: -2.649 4.854 3.203  -0.2328
H: 0.201 3.810 0.801  0.0313
H: -0.619 2.693 1.765  0.0203
H: 0.010 4.236 2.564  0.0487
H: -3.450 5.593 3.226  0.0395
H: -1.880 5.277 3.850  0.0401
H: -3.192 4.029 3.665  0.0387
C: 2.938 -4.574 0.700  -0.2526
S: 3.099 -3.148 1.827  0.8748
O: 2.415 -3.768 3.081  -0.6009
C: 1.979 -1.844 1.084  -0.2548
H: 3.704 -5.343 0.804  0.0550
H: 2.911 -4.343 -0.364  0.0408
H: 1.984 -5.067 0.886  0.0228
H: 1.148 -1.782 1.786  0.0498
H: 1.691 -2.162 0.082  0.0184
H: 2.674 -1.025 0.895  0.0072

Cartesian forces (eV/Å) of the 2 atoms listed first:
-2.32 1.59 -0.74
-0.65 -0.14 0.82

No. 2
The following is a DFT calculation (the ωB97M-V functional and the def2-TZVPD basis) of a cluster of 6 separate species, C24H54O16P2 in total in a non-equilibrium geometry.

Computed properties:
E (Eh): -2833.267906
LUMO energy (eV): 0.49
Structure (SMILES): COP(=O)(OC)OC.COP(=O)(OC)OC.Oc1ccc(O)cc1.COCCOC.COCCOC.COCCOC

Each line ends with the Löwdin charge.
Positions of all 96 atoms, in Å:
C: -0.767 5.775 -10.562  -0.1433
O: -0.019 5.579 -9.414  -0.2099
P: -0.501 4.484 -8.318  0.5024
O: -1.850 3.913 -8.560  -0.2411
*/
**Reply:**
No. 1
The following is a DFT calculation (the ωB97M-V functional and the def2-TZVPD basis) of a cluster of 9 separate species, C24H54O15S6 in total in a non-equilibrium geometry.

Computed properties:
E (Eh): -4464.230055
LUMO energy (eV): -0.17

Each line ends with the Löwdin charge.
Positions of all 99 atoms, in Å:
C: -2.094 -0.970 3.692  0.0179
C: -3.417 -1.100 2.729  -0.2285
C: -4.658 -0.279 3.155  -0.1140
O: -4.501 0.924 2.446  0.0617
C: -3.707 0.708 1.345  -0.5166
O: -3.393 1.492 0.452  0.0819
O: -3.292 -0.529 1.429  0.0715
H: -1.151 -1.446 3.426  0.0658
H: -2.385 -1.080 4.737  0.0733
H: -1.933 0.101 3.810  0.0671
H: -3.834 -2.106 2.687  0.1390
H: -4.461 -0.116 4.215  0.1245
H: -5.666 -0.684 3.063  0.1399
C: 2.766 3.917 -3.645  -0.0062
C: 2.073 4.145 -2.243  -0.2857
C: 2.531 3.385 -0.967  -0.1323
O: 2.760 4.492 -0.147  0.0220
C: 2.486 5.717 -0.749  -0.4687
O: 2.528 6.811 -0.174  0.1146
O: 2.204 5.530 -2.056  0.0745
H: 2.250 4.175 -4.570  0.0781
H: 3.022 2.864 -3.770  0.0640
H: 3.779 4.308 -3.734  0.0782
H: 0.987 4.056 -2.294  0.1392
H: 3.329 2.675 -1.182  0.1353
H: 1.665 2.895 -0.521  0.0677
C: -2.112 -5.252 2.879  0.0037
C: -1.231 -4.944 1.648  -0.3330
C: -0.878 -6.034 0.663  -0.0841
O: -1.115 -5.341 -0.549  0.0517
C: -1.640 -4.083 -0.392  -0.5095
O: -2.005 -3.377 -1.337  0.1202
O: -1.498 -3.792 0.882  0.0966
H: -2.026 -4.467 3.631  0.0778
H: -2.078 -6.230 3.359  0.0907
H: -3.089 -5.212 2.397  0.0846
H: -0.294 -4.682 2.140  0.1261
H: -1.501 -6.928 0.680  0.1404
H: 0.169 -6.236 0.890  0.1186
C: 1.393 -4.428 -5.953  -0.2412
S: 3.223 -4.737 -5.792  0.8290
O: 3.990 -3.839 -6.772  -0.5746
C: 3.443 -3.804 -4.221  -0.2718
H: 1.064 -4.815 -6.918  0.0478
H: 1.411 -3.338 -5.948  0.0392
H: 0.753 -4.812 -5.159  0.0520
H: 4.412 -3.691 -3.735  0.0560
H: 2.660 -4.029 -3.497  0.0307
H: 3.084 -2.814 -4.504  0.0314
C: 1.747 1.397 4.216  -0.2056
S: 2.617 1.293 2.552  0.8788
O: 1.592 1.787 1.458  -0.5842
C: 3.996 2.482 2.651  -0.2445
H: 2.303 0.885 5.001  0.0527
H: 0.846 0.801 4.073  0.0267
H: 1.424 2.413 4.444  0.0524
H: 4.846 2.265 3.298  0.0544
H: 3.622 3.390 3.124  0.0559
H: 4.462 2.662 1.682  0.0542
C: -3.101 4.106 -1.882  -0.2518
S: -3.620 2.428 -2.395  0.8568
O: -4.819 2.768 -3.278  -0.5970
C: -2.319 1.974 -3.626  -0.2370
H: -3.679 4.868 -2.405  0.0541
H: -2.082 4.396 -2.137  0.0444